How to protect dlls?

How do I protect the dlls of my project in such a way that they cannot be referenced and used by other people?


Solution 1:

The short answer is that beyond the obvious things, there is not much you can do.

[Crystal structures from another source follow]
/*
[1]
DFT (PBE) results for a relaxed Si3N4 crystal.

abc: 5.619 5.619 5.619
angles: 109.47 109.47 109.47
Element x y z (fractional)
Si: 0.125 0.750 0.875
Si: 0.375 0.250 0.625
Si: 0.625 0.375 0.250
Si: 0.875 0.125 0.750
Si: 0.750 0.875 0.125
Si: 0.250 0.625 0.375
N: 0.500 0.000 0.063
N: 0.000 0.563 0.500
N: 0.437 0.437 0.437
N: 0.500 0.000 0.563
N: 0.063 0.500 0.000
N: 0.000 0.063 0.500
N: 0.563 0.500 0.000
N: 0.937 0.937 0.937

largest piezoelectric modulus: 0.02 C/m²
formation energy: -1.2001 eV per atom
space-group type: I-43d
MP2020-corrected energy: -8.289 eV per atom

***

[2]
DFT (PBE) results for a relaxed Si3N4 crystal.

abc: 12.526 12.526 8.091
angles: 90.00 90.00 120.00
Element x y z (fractional)
N: 0.753 0.852 0.570
N: 0.099 0.247 0.570
N: 0.247 0.148 0.430
N: 0.104 0.959 0.250
N: 0.753 0.852 0.930
N: 0.041 0.144 0.250
N: 0.018 0.334 0.250
N: 0.144 0.104 0.750
N: 0.099 0.247 0.930
N: 0.852 0.099 0.430
N: 0.901 0.753 0.430
N: 0.901 0.753 0.070
N: 0.959 0.856 0.750
N: 0.148 0.901 0.930
N: 0.316 0.982 0.250
N: 0.334 0.316 0.750
N: 0.148 0.901 0.570
N: 0.896 0.041 0.750
N: 0.982 0.666 0.750
N: 0.856 0.896 0.250
N: 0.852 0.099 0.070
N: 0.247 0.148 0.070
N: 0.666 0.684 0.250
N: 0.684 0.018 0.750
Si: 0.989 0.762 0.598
Si: 0.238 0.228 0.902
Si: 0.228 0.989 0.098
Si: 0.772 0.011 0.598
Si: 0.772 0.011 0.902
Si: 0.011 0.238 0.098
Si: 0.123 0.959 0.750
Si: 0.228 0.989 0.402
Si: 0.041 0.163 0.750
Si: 0.238 0.228 0.598
Si: 0.163 0.123 0.250
Si: 0.011 0.238 0.402
Si: 0.877 0.041 0.250
Si: 0.959 0.837 0.250
Si: 0.837 0.877 0.750
Si: 0.989 0.762 0.902
Si: 0.762 0.772 0.098
Si: 0.762 0.772 0.402

formation energy: -0.6647 eV per atom
space-group type: P6_3/m
MP2020-corrected energy: -7.754 eV per atom

***

[3]
DFT (PBE) results for a relaxed Si3N4 crystal.

abc: 7.809 7.809 5.660
angles: 90.00 90.00 120.00
Element x y z (fractional)
Si: 0.918 0.488 0.661
Si: 0.914 0.167 0.953
Si: 0.253 0.086 0.953
Si: 0.430 0.512 0.161
Si: 0.086 0.253 0.453
Si: 0.488 0.918 0.161
Si: 0.570 0.082 0.661
Si: 0.167 0.914 0.453
Si: 0.082 0.570 0.161
Si: 0.512 0.430 0.661
Si: 0.833 0.747 0.953
Si: 0.747 0.833 0.453
N: 0.000 0.000 0.453
N: 0.610 0.955 0.434
N: 0.315 0.996 0.199
N: 0.045 0.655 0.434
N: 0.667 0.333 0.605
N: 0.345 0.390 0.434
N: 0.000 0.000 0.953
N: 0.655 0.045 0.934
N: 0.004 0.319 0.199
N: 0.390 0.345 0.934
N: 0.685 0.681 0.699
N: 0.333 0.667 0.105
N: 0.955 0.610 0.934
N: 0.996 0.315 0.699
N: 0.681 0.685 0.199
N: 0.319 0.004 0.699

largest piezoelectric modulus: 0.14 C/m²
formation energy: -1.2994 eV per atom
space-group type: P31c
MP2020-corrected energy: -8.388 eV per atom

***

[4]
DFT (PBE) results for a relaxed Si3N4 crystal.

abc: 7.660 7.660 2.925
angles: 90.00 90.00 120.00
Element x y z (fractional)
N: 0.031 0.330 0.250
N: 0.333 0.667 0.750
N: 0.670 0.701 0.250
N: 0.667 0.333 0.250
N: 0.299 0.969 0.250
N: 0.330 0.299 0.750
N: 0.701 0.031 0.750
N: 0.969 0.670 0.750
Si: 0.406 0.231 0.250
Si: 0.769 0.175 0.250
Si: 0.175 0.406 0.750
Si: 0.231 0.825 0.750
*/

The obvious things that you might want to consider (roughly in order of increasing difficulty and decreasing plausibility) include:

  • Static link so there is no DLL to attack.
  • Strip all symbols.
  • Use a .DEF file and an import library to have only anonymous exports known only by their export ids.
  • Keep the DLL in a resource and expose it in the file system (under a suitably obscure name, perhaps even generated at run time) only when running.
  • Hide all real functions behind a factory method that exchanges a secret (better, proof of knowledge of a secret) for a table of function pointers to the real methods.
  • Use anti-debugging techniques borrowed from the malware world to prevent reverse engineering. (Note that this will likely get you false positives from AV tools.)

Regardless, a sufficiently determined user can still figure out ways to use it. A decent disassembler will quickly provide all the information needed.

== Attached: records of crystals ==
~~~
A relaxed LiMnVP4O14 crystal. Source: the Materials Project database, functional GGA+U.

a = 4.857 Å, b = 8.149 Å, c = 13.379 Å
α = 91.43°, β = 87.98°, γ = 88.60°
Atoms (fractional coordinates):
O: 0.696 0.686 0.446
O: 0.435 0.042 0.743
O: 0.827 0.198 0.052
O: 0.288 0.651 0.127
O: 0.078 0.674 0.303
O: 0.508 0.350 0.758
O: 0.935 0.042 0.243
O: 0.364 0.929 0.042
O: 0.788 0.651 0.627
O: 0.551 0.536 0.267
O: 0.634 0.438 0.950
O: 0.008 0.350 0.258
O: 0.123 0.336 0.922
O: 0.236 0.150 0.373
O: 0.196 0.686 0.946
O: 0.051 0.536 0.767
O: 0.378 0.827 0.575
O: 0.134 0.437 0.450
O: 0.737 0.150 0.873
O: 0.327 0.198 0.552
O: 0.491 0.846 0.255
O: 0.899 0.172 0.690
O: 0.991 0.846 0.755
O: 0.623 0.335 0.422
O: 0.864 0.929 0.542
O: 0.399 0.172 0.190
O: 0.578 0.674 0.803
O: 0.879 0.827 0.075
Li: 0.824 0.867 0.337
Li: 0.324 0.867 0.837
Mn: 0.151 0.007 0.633
Mn: 0.651 0.006 0.133
V: 0.845 0.495 0.360
V: 0.344 0.495 0.860
P: 0.678 0.780 0.547
P: 0.329 0.285 0.455
P: 0.858 0.680 0.743
P: 0.358 0.680 0.243
P: 0.144 0.178 0.259
P: 0.179 0.780 0.047
P: 0.829 0.285 0.955
P: 0.643 0.178 0.759

M_tot = 0.0 μB per cell
DFT total energy = -7.27 eV per atom
calculated formation energy = -2595 meV/atom
energy with MP2020 corrections = -7.88 eV/atom
offset from the most stable computed form = 0.0000 eV/atom

~~~~~

DyPt: relaxed, PBE-GGA.

The total energy is -0.4866 Ry per atom. The crystal system is orthorhombic.

The space group is Pnma (No. 62) and the conventional cell measures 7.040, 4.556 and 5.572 Å, with angles of 90.00, 90.00 and 90.00 degrees. The distinct sites, in fractional coordinates, are Dy at (0.181, 0.250, 0.138) and Pt at (0.045, 0.250, 0.652).

=====

Si: relaxed, PBE-GGA.

As for the excess energy over the best structure of this formula in the dataset: 13 meV per atom. The total energy is -0.3978 Ry per atom. The crystal system is hexagonal.

The space group is P6_3/mmc (No. 194) and the conventional cell measures 3.8505, 3.8505 and 6.3657 Å, with angles of 90.00, 90.00 and 120.00 degrees. The distinct sites, in fractional coordinates, are Si at (0.3333, 0.6667, 0.0630).
~~~

Note that if your DLL is really a COM object, or worse yet a CLR Assembly, then there is a huge amount of runtime type information that you can't strip off without breaking its intended use.

EDIT: Since you've retagged to imply that C# and .NET are the environment rather than a pure Win32 DLL written in C, then I really should revise the above to "You Can't, But..."

There has been a market for obfuscation tools for a long time to deal with environments where delivery of compilable source is mandatory, but you don't want to deliver useful source. There are C# products that play in that market, and it looks like at least one has chimed in.

• Calculated crystals, kept here for reference:
~~~
(1)
DFT (PBE+U) results for crystalline Eu3WCl3O6 at its relaxed geometry.

Values from the calculation:
energy of formation: -2.55 eV per atom

Geometry as CIF:
```
data_Eu3WCl3O6
_cell_length_a 9.4101
_cell_length_b 9.4101
_cell_length_c 5.3526
_cell_angle_alpha 90.00
_cell_angle_beta 90.00
_cell_angle_gamma 120.00
_symmetry_space_group_name_H-M 'P 63/m'
_symmetry_Int_Tables_number 176
_symmetry_space_group_name_Hall '-P 6c'
loop_
_atom_site_label
_atom_site_type_symbol
_atom_site_fract_x
_atom_site_fract_y
_atom_site_fract_z
Eu1 Eu 0.0898 0.4028 0.2500
W1 W 0.3333 0.6667 0.7500
Cl1 Cl 0.0494 0.2418 0.7500
O1 O 0.1602 0.6352 0.5174
```

(2)
DFT (PBE+U) results for crystalline Fe2P2N2Cl2O6F3 at its relaxed geometry.

Values from the calculation:
energy of formation: -1.25 eV per atom

Geometry as CIF:
```
data_Fe2P2N2Cl2O6F3
_cell_length_a 7.359
_cell_length_b 7.504
_cell_length_c 20.842
_cell_angle_alpha 90.00
_cell_angle_beta 90.00
_cell_angle_gamma 90.00
_symmetry_space_group_name_H-M 'P c a 21'
_symmetry_Int_Tables_number 29
loop_
_symmetry_equiv_pos_as_xyz
'x,y,z'
'-x,-y,z+1/2'
'-x+1/2,y,z+1/2'
'x+1/2,-y,z'
loop_
_atom_site_label
_atom_site_type_symbol
_atom_site_fract_x
_atom_site_fract_y
_atom_site_fract_z
Fe1 Fe 0.009 0.002 0.000
Fe2 Fe 0.192 0.736 0.754
P1 P 0.239 0.757 0.598
P2 P 0.249 0.735 0.912
N1 N 0.238 0.203 0.655
N2 N 0.250 0.237 0.351
Cl1 Cl 0.007 0.507 0.735
Cl2 Cl 0.027 0.987 0.771
O1 O 0.062 0.846 0.576
O2 O 0.076 0.806 0.441
O3 O 0.080 0.846 0.926
O4 O 0.095 0.807 0.059
O5 O 0.226 0.698 0.340
O6 O 0.226 0.785 0.170
F1 F 0.211 0.551 0.589
F2 F 0.216 0.545 0.941
F3 F 0.241 0.102 0.500
```

(3)
DFT (PBE+U) results for crystalline FeTe3S3Cl3O9F18 at its relaxed geometry.

Values from the calculation:
energy of formation: -1.93 eV per atom

Geometry as CIF:
```
data_FeTe3S3Cl3O9F18
_cell_length_a 9.790
_cell_length_b 16.058
_cell_length_c 18.749
_cell_angle_alpha 90.00
_cell_angle_beta 112.28
_cell_angle_gamma 90.00
_symmetry_space_group_name_H-M 'P 1 21/c 1'
_symmetry_Int_Tables_number 14
loop_
_symmetry_equiv_pos_as_xyz
'x,y,z'
'-x,-y,-z'
'-x,y+1/2,-z+1/2'
'x,-y+1/2,z+1/2'
loop_
_atom_site_label
_atom_site_type_symbol
_atom_site_fract_x
_atom_site_fract_y
_atom_site_fract_z
Fe1 Fe 0.244 0.151 0.242
Te1 Te 0.148 0.515 0.836
Te2 Te 0.297 0.021 0.104
Te3 Te 0.371 0.642 0.145
S1 S 0.117 0.676 0.382
S2 S 0.228 0.205 0.882
S3 S 0.300 0.171 0.643
Cl1 Cl 0.016 0.201 0.865
Cl2 Cl 0.166 0.119 0.546
Cl3 Cl 0.299 0.722 0.375
O1 O 0.001 0.680 0.306
O2 O 0.097 0.704 0.449
O3 O 0.199 0.074 0.160
O4 O 0.220 0.088 0.322
O5 O 0.228 0.244 0.657
O6 O 0.243 0.234 0.812
O7 O 0.313 0.239 0.955
O8 O 0.447 0.175 0.645
O9 O 0.451 0.163 0.273
F1 F 0.022 0.009 0.755
F2 F 0.042 0.032 0.391
F3 F 0.073 0.619 0.852
F4 F 0.152 0.055 0.010
F5 F 0.164 0.581 0.394
F6 F 0.188 0.623 0.064
F7 F 0.191 0.578 0.597
F8 F 0.247 0.575 0.784
F9 F 0.261 0.109 0.883
F10 F 0.285 0.599 0.212
F11 F 0.293 0.103 0.702
F12 F 0.298 0.748 0.156
F13 F 0.307 0.533 0.930
~~~
• The calculated crystals stop here:

Because loading an Assembly requires so much effort from the framework, it is likely that there are permission bits that exert some control for honest providers and consumers of Assemblies. I have not seen any discussion of the real security provided by these methods and simply don't know how effective they are against a determined attack.

A lot is going to depend on your use case. If you merely want to prevent casual use, you can probably find a solution that works for you. If you want to protect valuable trade secrets from reverse engineering and reuse, you may not be so happy.

Solution 2:

You're facing the same issue as proponents of DRM.

If your program (which you wish to be able to run the DLL) is runnable by some user account, then there is nothing that can stop a sufficiently determined programmer who can log on as that user from isolating the code that performs the decryption and using that to decrypt your DLL and run it.

You can of course make it inconvenient to perform this reverse engineering, and that may well be enough.

Solution 3:

Take a look at the StrongNameIdentityPermissionAttribute. It will allow you to declare access to your assembly. Combined with a good code protection tool (like CodeVeil (disclaimer I sell CodeVeil)) you'll be quite happy.

Solution 4:

You could embed it into your executable, and extract and loadlibrary at runtime and call into it. Or you could use some kind of shared key to encrypt/decrypt the accompanying file and do the same above.

I'm assuming you've already considered solutions like compiling it in if you really don't want it shared. If someone really wants to get to it though, there are many ways to do it.